┌──
This entry pairs a crystal structure of RbLiF3 with its theoretical XRD peak list. Radiation: CuKα. Structure: a GGA-PBE-relaxed structure.

Peak list (6 most intense, 2θ = 5–70°, in order of rising 2θ)
- 2θ 21.39, rel. 60
- 2θ 30.44, rel. 69
- 2θ 37.51, rel. 100
- 2θ 43.58, rel. 54
- 2θ 54.09, rel. 28
- 2θ 63.34, rel. 32

Crystal structure
Unit cell a=4.1534 b=4.1534 c=4.1534 alpha=90.00 beta=90.00 gamma=90.00
Element x y z (fractional)
Rb: 0.0000 0.0000 0.0000
Li: 0.5000 0.5000 0.5000
F: 0.0000 0.5000 0.5000
F: 0.5000 0.0000 0.5000
F: 0.5000 0.5000 0.0000

This entry pairs a crystal structure of KLiPH2O4F with its theoretical XRD peak list. Radiation: CuKα. Structure: a GGA-PBE-relaxed structure.

Peak list (6 most intense, 2θ = 5–70°, in order of rising 2θ)
- 2θ 18.60, rel. 62
- 2θ 23.55, rel. 72
- 2θ 28.77, rel. 100
- 2θ 30.17, rel. 98
- 2θ 32.30, rel. 62
- 2θ 32.73, rel. 89

Crystal structure
Unit cell a=5.5072 b=7.5561 c=12.6184 alpha=90.00 beta=109.18 gamma=90.00
Element x y z (fractional)
K: 0.1553 0.2303 0.3449
K: 0.1553 0.2697 0.8449
K: 0.8447 0.7303 0.1551
K: 0.8447 0.7697 0.6551
Li: 0.3207 0.0420 0.6378
Li: 0.3207 0.4580 0.1378
Li: 0.6793 0.5420 0.8622
Li: 0.6793 0.9580 0.3622
P: 0.2435 0.7235 0.9483
P: 0.2435 0.7765 0.4483
P: 0.7565 0.2235 0.5517
P: 0.7565 0.2765 0.0517
H: 0.3701 0.5988 0.6556
H: 0.3701 0.9012 0.1556
H: 0.4638 0.0996 0.1567
H: 0.4638 0.4004 0.6567
H: 0.5362 0.5996 0.3433
H: 0.5362 0.9004 0.8433
H: 0.6299 0.0988 0.8444
H: 0.6299 0.4012 0.3444
O: 0.0253 0.6174 0.8684
O: 0.0253 0.8826 0.3684
O: 0.2771 0.7020 0.0731
O: 0.2771 0.7980 0.5731
O: 0.4542 0.9995 0.2064
O: 0.4542 0.5005 0.7064
O: 0.4975 0.7163 0.9239
O: 0.4975 0.7837 0.4239
O: 0.5025 0.2163 0.5761
O: 0.5025 0.2837 0.0761
O: 0.5458 0.0005 0.7936
O: 0.5458 0.4995 0.2936
O: 0.7229 0.2020 0.4269
O: 0.7229 0.2980 0.9269
O: 0.9747 0.1174 0.6316
O: 0.9747 0.3826 0.1316
F: 0.1528 0.5714 0.4221
F: 0.1528 0.9286 0.9221
F: 0.8472 0.0714 0.0779
F: 0.8472 0.4286 0.5779

This entry pairs a crystal structure of TbPmDy5Th2 with its theoretical XRD peak list. Radiation: CuKα. Structure: a GGA-PBE-relaxed structure.

Peak list (6 most intense, 2θ = 5–70°, in order of rising 2θ)
- 2θ 28.55, rel. 100
- 2θ 30.90, rel. 82
- 2θ 37.12, rel. 38
- 2θ 42.55, rel. 23
- 2θ 52.05, rel. 19
- 2θ 56.36, rel. 22

Crystal structure
Unit cell a=9.8846 b=9.8846 c=9.8846 alpha=126.84 beta=126.84 gamma=78.51
Element x y z (fractional)
Tb: 0.2500 0.7500 0.5000
Tb: 0.7500 0.2500 0.5000
Pm: 0.2500 0.2500 0.0000
Pm: 0.7500 0.7500 0.0000
Dy: 0.0000 0.0000 0.0000
Dy: 0.0703 0.5703 0.9168
Dy: 0.1536 0.0703 0.5000
Dy: 0.3464 0.8464 0.9168
Dy: 0.4297 0.3464 0.5000
Dy: 0.5000 0.5000 0.0000
Dy: 0.5703 0.6536 0.5000
Dy: 0.6536 0.1536 0.0832
Dy: 0.8464 0.9297 0.5000
Dy: 0.9297 0.4297 0.0832
Th: 0.1188 0.3812 0.5000
Th: 0.3812 0.8812 0.2623
Th: 0.6188 0.1188 0.7377
Th: 0.8812 0.6188 0.5000

This entry pairs a crystal structure of Nb4CrSe8 with its theoretical XRD peak list. Radiation: CuKα. Structure: a GGA-PBE-relaxed structure.

Peak list (6 most intense, 2θ = 5–70°, in order of rising 2θ)
- 2θ 12.81, rel. 59
- 2θ 30.26, rel. 55
- 2θ 32.32, rel. 31
- 2θ 35.51, rel. 40
- 2θ 39.61, rel. 100
- 2θ 52.42, rel. 44

Crystal structure
Unit cell a=6.9822 b=6.9822 c=13.8232 alpha=90.00 beta=90.00 gamma=120.00
Element x y z (fractional)
Nb: 0.0000 0.0000 0.0000
Nb: 0.0000 0.0000 0.5000
Nb: 0.0000 0.5000 0.0000
Nb: 0.0000 0.5000 0.5000
Nb: 0.5000 0.0000 0.0000
Nb: 0.5000 0.0000 0.5000
Nb: 0.5000 0.5000 0.0000
Nb: 0.5000 0.5000 0.5000
Cr: 0.0000 0.0000 0.2500
Cr: 0.0000 0.0000 0.7500
Se: 0.1673 0.3346 0.1230
Se: 0.1673 0.3346 0.3770
Se: 0.1673 0.8327 0.1230
Se: 0.1673 0.8327 0.3770
Se: 0.3333 0.6667 0.6209
Se: 0.3333 0.6667 0.8791
Se: 0.3346 0.1673 0.6230
Se: 0.3346 0.1673 0.8770
Se: 0.6654 0.8327 0.1230
Se: 0.6654 0.8327 0.3770
Se: 0.6667 0.3333 0.1209
Se: 0.6667 0.3333 0.3791
Se: 0.8327 0.1673 0.6230
Se: 0.8327 0.1673 0.8770
Se: 0.8327 0.6654 0.6230
Se: 0.8327 0.6654 0.8770
└──

It remains to quote the part of the calculation results further up that starts with the line with "37.51, rel." and stops after the one with "0.3346 0.3770".

- 2θ 37.51, rel. 100
- 2θ 43.58, rel. 54
- 2θ 54.09, rel. 28
- 2θ 63.34, rel. 32

Crystal structure
Unit cell a=4.1534 b=4.1534 c=4.1534 alpha=90.00 beta=90.00 gamma=90.00
Element x y z (fractional)
Rb: 0.0000 0.0000 0.0000
Li: 0.5000 0.5000 0.5000
F: 0.0000 0.5000 0.5000
F: 0.5000 0.0000 0.5000
F: 0.5000 0.5000 0.0000

This entry pairs a crystal structure of KLiPH2O4F with its theoretical XRD peak list. Radiation: CuKα. Structure: a GGA-PBE-relaxed structure.

Peak list (6 most intense, 2θ = 5–70°, in order of rising 2θ)
- 2θ 18.60, rel. 62
- 2θ 23.55, rel. 72
- 2θ 28.77, rel. 100
- 2θ 30.17, rel. 98
- 2θ 32.30, rel. 62
- 2θ 32.73, rel. 89

Crystal structure
Unit cell a=5.5072 b=7.5561 c=12.6184 alpha=90.00 beta=109.18 gamma=90.00
Element x y z (fractional)
K: 0.1553 0.2303 0.3449
K: 0.1553 0.2697 0.8449
K: 0.8447 0.7303 0.1551
K: 0.8447 0.7697 0.6551
Li: 0.3207 0.0420 0.6378
Li: 0.3207 0.4580 0.1378
Li: 0.6793 0.5420 0.8622
Li: 0.6793 0.9580 0.3622
P: 0.2435 0.7235 0.9483
P: 0.2435 0.7765 0.4483
P: 0.7565 0.2235 0.5517
P: 0.7565 0.2765 0.0517
H: 0.3701 0.5988 0.6556
H: 0.3701 0.9012 0.1556
H: 0.4638 0.0996 0.1567
H: 0.4638 0.4004 0.6567
H: 0.5362 0.5996 0.3433
H: 0.5362 0.9004 0.8433
H: 0.6299 0.0988 0.8444
H: 0.6299 0.4012 0.3444
O: 0.0253 0.6174 0.8684
O: 0.0253 0.8826 0.3684
O: 0.2771 0.7020 0.0731
O: 0.2771 0.7980 0.5731
O: 0.4542 0.9995 0.2064
O: 0.4542 0.5005 0.7064
O: 0.4975 0.7163 0.9239
O: 0.4975 0.7837 0.4239
O: 0.5025 0.2163 0.5761
O: 0.5025 0.2837 0.0761
O: 0.5458 0.0005 0.7936
O: 0.5458 0.4995 0.2936
O: 0.7229 0.2020 0.4269
O: 0.7229 0.2980 0.9269
O: 0.9747 0.1174 0.6316
O: 0.9747 0.3826 0.1316
F: 0.1528 0.5714 0.4221
F: 0.1528 0.9286 0.9221
F: 0.8472 0.0714 0.0779
F: 0.8472 0.4286 0.5779

This entry pairs a crystal structure of TbPmDy5Th2 with its theoretical XRD peak list. Radiation: CuKα. Structure: a GGA-PBE-relaxed structure.

Peak list (6 most intense, 2θ = 5–70°, in order of rising 2θ)
- 2θ 28.55, rel. 100
- 2θ 30.90, rel. 82
- 2θ 37.12, rel. 38
- 2θ 42.55, rel. 23
- 2θ 52.05, rel. 19
- 2θ 56.36, rel. 22

Crystal structure
Unit cell a=9.8846 b=9.8846 c=9.8846 alpha=126.84 beta=126.84 gamma=78.51
Element x y z (fractional)
Tb: 0.2500 0.7500 0.5000
Tb: 0.7500 0.2500 0.5000
Pm: 0.2500 0.2500 0.0000
Pm: 0.7500 0.7500 0.0000
Dy: 0.0000 0.0000 0.0000
Dy: 0.0703 0.5703 0.9168
Dy: 0.1536 0.0703 0.5000
Dy: 0.3464 0.8464 0.9168
Dy: 0.4297 0.3464 0.5000
Dy: 0.5000 0.5000 0.0000
Dy: 0.5703 0.6536 0.5000
Dy: 0.6536 0.1536 0.0832
Dy: 0.8464 0.9297 0.5000
Dy: 0.9297 0.4297 0.0832
Th: 0.1188 0.3812 0.5000
Th: 0.3812 0.8812 0.2623
Th: 0.6188 0.1188 0.7377
Th: 0.8812 0.6188 0.5000

This entry pairs a crystal structure of Nb4CrSe8 with its theoretical XRD peak list. Radiation: CuKα. Structure: a GGA-PBE-relaxed structure.

Peak list (6 most intense, 2θ = 5–70°, in order of rising 2θ)
- 2θ 12.81, rel. 59
- 2θ 30.26, rel. 55
- 2θ 32.32, rel. 31
- 2θ 35.51, rel. 40
- 2θ 39.61, rel. 100
- 2θ 52.42, rel. 44

Crystal structure
Unit cell a=6.9822 b=6.9822 c=13.8232 alpha=90.00 beta=90.00 gamma=120.00
Element x y z (fractional)
Nb: 0.0000 0.0000 0.0000
Nb: 0.0000 0.0000 0.5000
Nb: 0.0000 0.5000 0.0000
Nb: 0.0000 0.5000 0.5000
Nb: 0.5000 0.0000 0.0000
Nb: 0.5000 0.0000 0.5000
Nb: 0.5000 0.5000 0.0000
Nb: 0.5000 0.5000 0.5000
Cr: 0.0000 0.0000 0.2500
Cr: 0.0000 0.0000 0.7500
Se: 0.1673 0.3346 0.1230
Se: 0.1673 0.3346 0.3770